• Given:
=====
Record 1
Ta2CuGeBi: optimized geometry, PBE.

```
Ta2CuGeBi
1.0
4.932 0.000 0.000
0.000 4.932 0.000
0.000 0.000 4.352
Ta Cu Ge Bi
2 1 1 1
direct
0.000 0.500 0.000
0.500 0.000 0.000
0.000 0.000 0.500
0.000 0.000 0.000
0.500 0.500 0.500
```

## Properties
Its formation energy is 4.3 eV/f.u. The symmetry is No. 123. The value obtained for the energy above the most stable polymorph in this dataset is 0.000 kcal/mol of atoms. The calculation puts the total energy at -6.404 eV/atom.



Record 2
TaAlCo: optimized geometry, PBE.

```
TaAlCo
1.0
-1.438 1.438 5.125
1.438 -1.438 5.125
1.438 1.438 -5.125
Ta Al Co
1 1 1
direct
0.000 0.000 0.000
0.696 0.696 0.000
0.333 0.333 0.000
```

## Properties
Its formation energy is -1.0 eV/f.u. The symmetry is No. 107. The calculation puts the total energy at -7.900 eV/atom.



Record 3
PmYInRu: optimized geometry, PBE.

```
PmYInRu
1.0
0.000 3.631 3.631
3.631 0.000 3.631
3.631 3.631 0.000
Pm Y In Ru
1 1 1 1
direct
0.000 0.000 0.000
0.500 0.500 0.500
0.250 0.250 0.250
0.750 0.750 0.750
```

## Properties
Its formation energy is -1.1 eV/f.u. The symmetry is No. 216. The calculation puts the total energy at -6.091 eV/atom.



Record 4
NdMn4: optimized geometry, PBE.

```
NdMn4
1.0
4.957 0.000 0.000
0.000 4.957 0.000
0.000 0.000 4.957
Nd Mn
1 4
direct
0.000 0.000 0.000
0.000 0.000 0.500
0.000 0.500 0.000
0.500 0.000 0.000
0.500 0.500 0.500
```

## Properties
Its formation energy is 9.1 eV/f.u. The symmetry is No. 221. The calculation puts the total energy at -6.477 eV/atom.



Record 5
SiOsO3: optimized geometry, PBE.

```
SiOsO3
1.0
3.892 0.000 0.000
0.000 3.892 0.000
0.000 0.000 3.892
Si Os O
1 1 3
direct
0.000 0.000 0.000
0.500 0.500 0.500
0.000 0.500 0.500
0.500 0.000 0.500
0.500 0.500 0.000
```

## Properties
The symmetry is No. 221. The calculation puts the total energy at -6.581 eV/atom. The formation energy (no corrections) is -0.28 eV per atom.



Record 6
Zr2AgBiH: optimized geometry, PBE.

```
Zr2AgBiH
1.0
4.405 0.000 0.000
0.000 4.405 0.000
0.000 0.000 4.615
Zr Ag Bi H
2 1 1 1
direct
0.000 0.500 0.000
0.500 0.000 0.000
0.000 0.000 0.500
0.500 0.500 0.500
0.000 0.000 0.000
```

## Properties
The symmetry is No. 123. The calculation puts the total energy at -5.643 eV/atom.



Record 7
MnHgPBr: optimized geometry, PBE.

```
MnHgPBr
1.0
3.441 0.000 0.000
1.720 2.981 0.000
1.587 0.657 9.537
Mn Hg P Br
1 1 1 1
direct
0.000 0.000 0.000
0.182 0.241 0.432
0.288 0.305 0.131
0.729 0.705 0.822
```

## Properties
The symmetry is No. 1. The value obtained for the energy above the most stable polymorph in this dataset is 0.000 kcal/mol of atoms. The calculation puts the total energy at -4.324 eV/atom. The formation energy (no corrections) is -0.19 eV per atom.



Record 8
BC5: optimized geometry, PBE.

```
BC5
1.0
4.277 -1.257 0.000
4.277 1.257 0.000
-3.224 0.000 6.725
B C
2 10
direct
0.000 0.000 0.000
0.671 0.671 0.831
0.004 0.004 0.488
0.171 0.171 0.681
0.172 0.172 0.209
0.336 0.336 0.165
0.336 0.336 0.650
0.494 0.494 0.849
0.505 0.505 0.367
0.672 0.672 0.327
0.833 0.833 0.047
0.839 0.839 0.528
```

## Properties
Its formation energy is 1.5 eV/f.u. The symmetry is No. 8. The value obtained for the energy above the most stable polymorph in this dataset is 0.912 kcal/mol of atoms. The calculation puts the total energy at -8.551 eV/atom.



Record 9
Ga2AsI: optimized geometry, PBE.

```
Ga2AsI
1.0
0.000 3.658 3.658
3.658 0.000 3.658
3.658 3.658 0.000
Ga As I
2 1 1
direct
0.250 0.250 0.250
0.750 0.750 0.750
0.000 0.000 0.000
0.500 0.500 0.500
```

## Properties
The symmetry is No. 225. The value obtained for the energy above the most stable polymorph in this dataset is 8.805 kcal/mol of atoms. The calculation puts the total energy at -2.821 eV/atom. The formation energy (no corrections) is 0.24 eV per atom.



Record 10
Pu2Tl3CrTe6: optimized geometry, PBE.

```
Pu2Tl3CrTe6
1.0
3.778 -6.543 0.000
3.778 6.543 0.000
-2.540 0.000 8.104
Pu Tl Cr Te
2 3 1 6
direct
0.165 0.835 0.000
0.835 0.165 0.000
=====

• Brief:
Print the whole of the entries further above unchanged.

• Worked solution:
Record 1
Ta2CuGeBi: optimized geometry, PBE.

```
Ta2CuGeBi
1.0
4.932 0.000 0.000
0.000 4.932 0.000
0.000 0.000 4.352
Ta Cu Ge Bi
2 1 1 1
direct
0.000 0.500 0.000
0.500 0.000 0.000
0.000 0.000 0.500
0.000 0.000 0.000
0.500 0.500 0.500
```

## Properties
Its formation energy is 4.3 eV/f.u. The symmetry is No. 123. The value obtained for the energy above the most stable polymorph in this dataset is 0.000 kcal/mol of atoms. The calculation puts the total energy at -6.404 eV/atom.



Record 2
TaAlCo: optimized geometry, PBE.

```
TaAlCo
1.0
-1.438 1.438 5.125
1.438 -1.438 5.125
1.438 1.438 -5.125
Ta Al Co
1 1 1
direct
0.000 0.000 0.000
0.696 0.696 0.000
0.333 0.333 0.000
```

## Properties
Its formation energy is -1.0 eV/f.u. The symmetry is No. 107. The calculation puts the total energy at -7.900 eV/atom.



Record 3
PmYInRu: optimized geometry, PBE.

```
PmYInRu
1.0
0.000 3.631 3.631
3.631 0.000 3.631
3.631 3.631 0.000
Pm Y In Ru
1 1 1 1
direct
0.000 0.000 0.000
0.500 0.500 0.500
0.250 0.250 0.250
0.750 0.750 0.750
```

## Properties
Its formation energy is -1.1 eV/f.u. The symmetry is No. 216. The calculation puts the total energy at -6.091 eV/atom.



Record 4
NdMn4: optimized geometry, PBE.

```
NdMn4
1.0
4.957 0.000 0.000
0.000 4.957 0.000
0.000 0.000 4.957
Nd Mn
1 4
direct
0.000 0.000 0.000
0.000 0.000 0.500
0.000 0.500 0.000
0.500 0.000 0.000
0.500 0.500 0.500
```

## Properties
Its formation energy is 9.1 eV/f.u. The symmetry is No. 221. The calculation puts the total energy at -6.477 eV/atom.



Record 5
SiOsO3: optimized geometry, PBE.

```
SiOsO3
1.0
3.892 0.000 0.000
0.000 3.892 0.000
0.000 0.000 3.892
Si Os O
1 1 3
direct
0.000 0.000 0.000
0.500 0.500 0.500
0.000 0.500 0.500
0.500 0.000 0.500
0.500 0.500 0.000
```

## Properties
The symmetry is No. 221. The calculation puts the total energy at -6.581 eV/atom. The formation energy (no corrections) is -0.28 eV per atom.



Record 6
Zr2AgBiH: optimized geometry, PBE.

```
Zr2AgBiH
1.0
4.405 0.000 0.000
0.000 4.405 0.000
0.000 0.000 4.615
Zr Ag Bi H
2 1 1 1
direct
0.000 0.500 0.000
0.500 0.000 0.000
0.000 0.000 0.500
0.500 0.500 0.500
0.000 0.000 0.000
```

## Properties
The symmetry is No. 123. The calculation puts the total energy at -5.643 eV/atom.



Record 7
MnHgPBr: optimized geometry, PBE.

```
MnHgPBr
1.0
3.441 0.000 0.000
1.720 2.981 0.000
1.587 0.657 9.537
Mn Hg P Br
1 1 1 1
direct
0.000 0.000 0.000
0.182 0.241 0.432
0.288 0.305 0.131
0.729 0.705 0.822
```

## Properties
The symmetry is No. 1. The value obtained for the energy above the most stable polymorph in this dataset is 0.000 kcal/mol of atoms. The calculation puts the total energy at -4.324 eV/atom. The formation energy (no corrections) is -0.19 eV per atom.



Record 8
BC5: optimized geometry, PBE.

```
BC5
1.0
4.277 -1.257 0.000
4.277 1.257 0.000
-3.224 0.000 6.725
B C
2 10
direct
0.000 0.000 0.000
0.671 0.671 0.831
0.004 0.004 0.488
0.171 0.171 0.681
0.172 0.172 0.209
0.336 0.336 0.165
0.336 0.336 0.650
0.494 0.494 0.849
0.505 0.505 0.367
0.672 0.672 0.327
0.833 0.833 0.047
0.839 0.839 0.528
```

## Properties
Its formation energy is 1.5 eV/f.u. The symmetry is No. 8. The value obtained for the energy above the most stable polymorph in this dataset is 0.912 kcal/mol of atoms. The calculation puts the total energy at -8.551 eV/atom.



Record 9
Ga2AsI: optimized geometry, PBE.

```
Ga2AsI
1.0
0.000 3.658 3.658
3.658 0.000 3.658
3.658 3.658 0.000
Ga As I
2 1 1
direct
0.250 0.250 0.250
0.750 0.750 0.750
0.000 0.000 0.000
0.500 0.500 0.500
```

## Properties
The symmetry is No. 225. The value obtained for the energy above the most stable polymorph in this dataset is 8.805 kcal/mol of atoms. The calculation puts the total energy at -2.821 eV/atom. The formation energy (no corrections) is 0.24 eV per atom.



Record 10
Pu2Tl3CrTe6: optimized geometry, PBE.

```
Pu2Tl3CrTe6
1.0
3.778 -6.543 0.000
3.778 6.543 0.000
-2.540 0.000 8.104
Pu Tl Cr Te
2 3 1 6
direct
0.165 0.835 0.000
0.835 0.165 0.000